Please repeat every line underneath that contains the word "XYZ".

........
14
Lattice="6.4584 0.0000 0.0000 -3.2292 5.5932 0.0000 0.0000 0.0000 8.2085" Properties=species:S:1:pos:R:3 comment="Rb3AcMo2O8 | Alexandria | PBE+U | optimized geometry" magnetic_moment_mub_per_fu=2.00 vol_a3_per_cell=296.52 n_ef_per_ev_fu=7.9 energy_ev_per_atom=-6.318 pbc="T T T"
Rb 0.0000 0.0000 0.0000
Rb 0.0000 3.7288 5.5865
Rb 3.2292 1.8644 2.6220
Ac 0.0000 0.0000 4.1043
Mo 0.0000 3.7288 1.8696
Mo 3.2292 1.8644 6.3390
O 0.0000 1.9854 2.6096
O -1.5099 4.6005 2.6096
O 0.0000 3.7288 0.0683
O 1.7194 0.9927 5.5990
O 1.5098 4.6005 2.6096
O 3.2292 1.8644 8.1402
O 4.7391 0.9927 5.5990
O 3.2292 3.6078 5.5990

=====

Here is an optimized crystal structure of In5Sn12Bi3 from Alexandria. Energies are from PBE.

Summary:
DOS(E_F): 0.575 states/eV/atom
Energy: -274.9 eV for the cell shown
Symmetry: No. 230

Structure (extended XYZ):
```
80
Lattice="15.6198 0.0000 0.0000 -5.2066 14.7265 0.0000 -5.2066 -7.3632 12.7535" Properties=species:S:1:pos:R:3 pbc="T T T"
Bi 9.1115 4.6020 1.5942
Bi 9.1115 10.1244 1.5942
Bi -1.3016 6.4428 7.9709
Bi 1.3016 -0.9204 4.7826
Bi 11.7148 0.0000 3.1884
Bi 1.3016 7.3632 3.1884
Bi 3.9049 0.0000 9.5651
Bi -6.5082 7.3632 9.5651
Bi 3.9049 8.2836 7.9709
Bi 6.5082 0.9204 4.7826
Bi -3.9049 -2.7612 11.1593
Bi -3.9049 2.7612 11.1593
In -1.3016 3.6816 3.1884
In -2.6033 7.3632 0.0000
In 0.0000 0.0000 0.0000
In 3.9049 2.7612 1.5942
In 5.2066 -3.6816 6.3767
In 5.2066 7.3632 0.0000
In -3.9049 8.2836 4.7826
In 6.5082 -4.6020 11.1593
In 6.5082 6.4428 4.7826
In 1.3016 -3.6816 9.5651
In 3.9049 11.0448 3.1884
In 2.6033 3.6816 6.3767
In 7.8099 0.0000 0.0000
In -2.6033 -3.6816 6.3767
In -1.3016 0.9204 7.9709
In -1.3016 11.9652 1.5942
In -5.2066 3.6816 6.3767
In 9.1115 -0.9204 7.9709
In 1.3016 4.6020 11.1593
In 6.5082 3.6816 9.5651
Sn 10.1697 1.6324 0.8975
Sn 0.2434 5.2750 5.4118
Sn 11.2365 3.1747 3.5300
Sn 6.9865 2.2119 1.8624
Sn 1.8509 5.8433 8.3261
Sn 10.7276 7.3520 1.9493
Sn -0.8234 8.3260 5.3924
Sn -4.3832 12.5145 1.8624
Sn 0.7524 8.8831 8.3261
Sn 7.4955 7.3744 1.9493
Sn 8.0533 3.7206 4.5144
Sn 8.0533 13.0941 0.8975
Sn -4.4542 6.4506 7.2742
Sn 2.9177 5.6807 0.9844
Sn -5.4500 11.0059 4.5144
Sn 2.8467 -2.0882 7.3417
Sn -0.7524 0.6073 2.8468
Sn 2.9177 9.0570 0.9649
Sn 6.9865 11.5518 3.5300
Sn -0.3144 5.6695 0.9649
Sn -3.3557 7.9705 9.9067
Sn 3.4266 6.4004 5.3924
Sn 7.0575 8.2758 7.2742
Sn 5.5210 -1.6825 11.7691
Sn 1.7800 0.9628 7.3611
Sn -1.8509 -0.9126 5.4793
Sn -0.3144 9.0458 0.9844
Sn -1.7799 -4.1885 9.2235
Sn 8.5623 -0.6073 2.8468
Sn 5.5210 1.6938 11.7886
Sn 2.2889 -1.6938 11.7886
Sn 2.3599 9.4514 5.4118
Sn 5.9590 6.7559 9.9067
Sn 10.6566 -3.6427 8.2391
Sn 9.6608 0.9126 5.4793
Sn -2.8467 -5.7309 11.8560
Sn 2.2889 1.6825 11.7691
Sn 4.4542 -1.5199 4.4274
Sn -2.2889 -0.0112 10.8042
Sn -2.8467 3.6427 8.2391
Sn 9.5898 -5.1513 10.8911
Sn 6.0299 -0.9628 7.3611
Sn -1.7800 5.1513 10.8911
Sn -5.5210 0.0112 10.8042
Sn 3.3557 1.5199 4.4274
Sn -6.0299 4.1885 9.2235
Sn 4.9632 2.0882 7.3417
Sn -4.9632 5.7309 11.8560
```

***

Here is an optimized crystal structure of In4Sn4Bi from Alexandria. Energies are from PBE.

Summary:
DOS(E_F): 0.555 states/eV/atom
Energy: -30.4 eV for the cell shown
Symmetry: No. 139

Structure (extended XYZ):
```
9
Lattice="-1.9023 -3.2527 3.2048 4.8848 -5.7238 0.9077 2.1603 1.8874 7.0155" Properties=species:S:1:pos:R:3 pbc="T T T"
In 2.0653 -6.4141 6.1689
In 3.0775 -0.6751 4.9592
In 1.1101 -3.4493 4.7933
In 4.0327 -3.6398 6.3347
Sn 1.0112 -3.0041 1.3688
Sn 4.1316 -4.0850 9.7592
Sn 0.1630 -0.9205 6.7978
Sn 4.9798 -6.1686 4.3302
Bi 0.0000 0.0000 0.0000
```

***

Here is an optimized crystal structure of InSnBi2 from Alexandria. Energies are from PBE.

Summary:
DOS(E_F): 0.526 states/eV/atom
Energy: -14.1 eV for the cell shown
Symmetry: No. 38

Structure (extended XYZ):
```
4
Lattice="5.1617 -5.4722 -0.1998 6.9980 -2.1582 -1.7313 1.2964 1.0811 3.8939" Properties=species:S:1:pos:R:3 pbc="T T T"
In 12.7582 -7.1310 -0.1325
Sn 11.4214 -5.3451 2.1291
Bi 8.6034 -3.5765 2.5771
Bi 3.5111 -1.3286 1.3351
```

***
........

Structure (extended XYZ):
Structure (extended XYZ):
Structure (extended XYZ):